Anakin felt his pulse pick up as his eyes met the Sith Lord's. The dark man before him was surprisingly young. His thick, dark hair was neatly slicked back and his yellow eyes gleamed.
Luke was trapped inside a force-field cage, and Anakin couldn't help but shout his name. "Luke!"
His son lifted his head and sprang to his feet. "Dad!" he called in return, through the filmy blue force-field around him. Midas watched patiently, as if he were enjoying the father-son reunion. "How touching..." he finally commented with a false sweetness in his words, "The Hero With No Fear reunites with his son just in time to watch him turn against him," he said lowly.
Anakin glared at him and pulled out his lightsaber, immediately igniting the electric blue blade. Darth Midas paced back and forth like a stalking Nexu. "Let my son go..." Anakin demanded in a slow growl. He gritted his teeth and searched for his self-control. He needed to stay focused. His son's life was on the line.
"I'm afraid that would ruin the plan, my friend," Midas said regretfully, "It wouldn't be wise to let my new apprentice leave at such an inopportune time." Anakin clenched his jaw, "My son will never join you. The Sith represent fear, anger, and hatred; everything he is not," he rebutted.
Luke was so happy to see his father.
He watched anxiously as he and Darth Midas circled the room, holding eachothers glares with extreme caution. Luke heard his father reply to something that the Sith had said. "My son will never join you. The Sith represent fear, anger, and hatred; everything he is not."
It was almost enough to make Luke smile, had he not been terrified for his father. What if the Sith were stronger? More powerful? No, that couldn't be! The Jedi were the good guys. Good guys never lost, or at least not in the stories his father had told him when he was younger.
Of course, this wasn't just a story. This was real and dangerous. Luke decided that he had to help his father even if he had to do it from inside a force-field bubble.
If I could just figure out how to work the control panel...
It was dark, and wet, and it smelled like the inside of a tauntaun. Leia had know idea what a tuantuan smelled like, but she knew it couldn't be good.
Inside the garbage chute, she and Han searched desperately for a way out. Garbage chutes had to lead somewhere! "What an wonderful smell you've discovered!" the young boy grumbled as he waded through the filthy water. Leia cringed as her cloak became seeping wet with slimy liquid. She shook the thought aside and sifted through the junk, "Would you quit running your mouth and help me find a way out?" she demanded fiercely.
Han cocked an eyebrow, "Listen, I take orders from one person and that is me!" he stated firmly. Leia rolled her eyes, "Nerf herder..." she muttered.
The two dug through layers of decomposing materials, looking for any way out. "Hey wait. Does it feel like the walla are closing in?" Han suddenly asked, studying the room. Leia ignored his question, "I think the smell may be going to your head," she suggested. But then she heard the whine of metal and stopped to confirm the fact that the walls were moving closer together.
"Han, what are we gonna do?" she screamed in panic. Han began lifting a metal pipe to jam the walls, "Well," he began, "One thing's for sure; we're gonna be a lot thinner..."
"What is it that you're asking me for?"
"Time," Padme answered Mace directly. The Jedi master weighed his options for a second and then sighed. "You know I don't have any of that, right?"
Padme read the man's tired face. Just like Obi-wan had been, he wore aged features that added something to the way he looked at people. While she had lived a peaceful life with her family, these people- her friends- continued their duties to protect the galaxy. What had she done?
~~~
Density functional theory data (PBE) for an optimized crystal structure of K4CuP6H8O22.

Cell and atoms, written as CIF:
```
data_K4CuP6H8O22
_chemical_formula_sum 'K8 Cu2 P12 H16 O44'
_space_group_name_H-M_alt 'P 1 21/c 1'
_space_group_IT_number 14
_space_group_name_Hall '-P 2ybc'
_cell_length_a 8.575
_cell_length_b 14.501
_cell_length_c 8.618
_cell_angle_alpha 90.00
_cell_angle_beta 96.65
_cell_angle_gamma 90.00
loop_
_atom_site_label
_atom_site_fract_x
_atom_site_fract_y
_atom_site_fract_z
K1 0.054 0.097 0.325
K2 0.333 0.718 0.503
Cu1 0.500 0.000 0.500
P1 0.002 0.665 0.757
P2 0.234 0.050 0.933
P3 0.328 0.174 0.691
H1 0.260 0.577 0.863
H2 0.334 0.517 0.733
H3 0.349 0.571 0.216
H4 0.499 0.636 0.200
O1 0.063 0.601 0.888
O2 0.067 0.104 0.894
O3 0.111 0.736 0.706
O4 0.155 0.220 0.704
O5 0.229 0.543 0.353
O6 0.271 0.054 0.107
O7 0.310 0.109 0.555
O8 0.355 0.118 0.857
O9 0.362 0.560 0.826
O10 0.418 0.597 0.140
O11 0.448 0.249 0.703
```

Values from the calculation:
Uncorrected energy, eV per atom: -6.1275


Density functional theory data (PBE) for an optimized crystal structure of K2CuP4H8O15.

Cell and atoms, written as CIF:
```
data_K2CuP4H8O15
_chemical_formula_sum 'K4 Cu2 P8 H16 O30'
_space_group_name_H-M_alt 'C 1 2/m 1'
_space_group_IT_number 12
_space_group_name_Hall '-C 2y'
_cell_length_a 9.825
_cell_length_b 12.403
_cell_length_c 7.002
_cell_angle_alpha 90.00
_cell_angle_beta 103.91
_cell_angle_gamma 90.00
loop_
_atom_site_label
_atom_site_fract_x
_atom_site_fract_y
_atom_site_fract_z
K1 0.211 0.000 0.092
Cu1 0.000 0.000 0.500
P1 0.008 0.234 0.663
H1 0.193 0.436 0.398
H2 0.240 0.254 0.755
O1 0.000 0.500 0.000
O2 0.016 0.113 0.714
O3 0.111 0.297 0.284
O4 0.152 0.291 0.771
O5 0.241 0.500 0.466
```

Values from the calculation:
Uncorrected energy, eV per atom: -5.7165


Density functional theory data (PBE) for an optimized crystal structure of KRbCuH12Se2O14.

Cell and atoms, written as CIF:
```
data_KRbCuH12Se2O14
_chemical_formula_sum 'K2 Rb2 Cu2 H24 Se4 O28'
_space_group_name_H-M_alt 'P 1 21 1'
_space_group_IT_number 4
_space_group_name_Hall 'P 2yb'
_cell_length_a 6.459
_cell_length_b 12.523
_cell_length_c 9.271
_cell_angle_alpha 90.00
_cell_angle_beta 103.44
_cell_angle_gamma 90.00
loop_
_atom_site_label
_atom_site_fract_x
_atom_site_fract_y
_atom_site_fract_z
K1 0.152 0.000 0.113
Rb1 0.150 0.186 0.612
Cu1 0.500 0.345 0.249
H1 0.175 0.251 0.042
H2 0.176 0.937 0.540
H3 0.184 0.479 0.222
H4 0.185 0.711 0.724
H5 0.186 0.793 0.855
H6 0.187 0.398 0.355
H7 0.387 0.212 0.997
H8 0.388 0.976 0.495
H9 0.432 0.440 0.986
H10 0.432 0.749 0.487
H11 0.490 0.028 0.888
H12 0.490 0.161 0.386
Se1 0.238 0.704 0.162
Se2 0.239 0.486 0.666
O1 0.081 0.597 0.163
O2 0.083 0.592 0.672
O3 0.119 0.409 0.522
O4 0.119 0.784 0.022
O5 0.218 0.403 0.254
O6 0.218 0.787 0.755
O7 0.263 0.415 0.821
O8 0.265 0.773 0.319
O9 0.317 0.219 0.081
O10 0.320 0.967 0.580
O11 0.463 0.954 0.917
O12 0.466 0.236 0.415
O13 0.477 0.663 0.140
O14 0.480 0.527 0.645
```
~~~
Padme watched a droid bandage Maya's wound while Maya herself looked back at her. The young girl waved. Padme smiled back.
"Mace, if I can get you time, will you hold off the attack?" she finally asked, turning back to Master Windu. He glanced over at Maya and then back at her, "What do you mean?" he said with reluctant confusion. Padme smiled slightly as a plan boiled in her mind. "We can hold off the attack and still fight off Rett Lisban's men. We did the same thing during the Battle of Naboo. We just have to redirect the fighting while a small group travels to the base. Once Obi-wan and my family are out, we launch the attack," she said quickly, barely even understanding her own words as they left her mouth.
(Here the page breaks off for crystal structures)
'''
(1)
Compound: Al2O3
Source: the Materials Project database
Functional: GGA-PBE
Structure: relaxed

Unit cell a=10.2103 b=10.2649 c=10.7003 alpha=90.21 beta=91.14 gamma=94.23
Space group P1 (No. 1)
One atom of each set of equivalent atoms:
1 Al 0.0000 0.0000 0.0000 [1 per cell]
2 Al 0.0025 0.2633 0.5659 [1 per cell]
3 Al 0.0079 0.6099 0.8779 [1 per cell]
4 Al 0.0362 0.0033 0.7031 [1 per cell]
5 Al 0.1149 0.6281 0.6028 [1 per cell]
6 Al 0.1265 0.0768 0.2580 [1 per cell]
7 Al 0.1350 0.3831 0.2936 [1 per cell]
8 Al 0.1568 0.2536 0.0484 [1 per cell]
9 Al 0.1904 0.4135 0.7988 [1 per cell]
10 Al 0.2025 0.8433 0.8180 [1 per cell]
11 Al 0.2071 0.6418 0.0481 [1 per cell]
12 Al 0.2655 0.9284 0.5202 [1 per cell]
13 Al 0.2666 0.6728 0.3474 [1 per cell]
14 Al 0.3913 0.2633 0.2020 [1 per cell]
15 Al 0.4035 0.4751 0.6630 [1 per cell]
16 Al 0.4238 0.7825 0.9912 [1 per cell]
17 Al 0.4336 0.4504 0.9815 [1 per cell]
18 Al 0.4569 0.2429 0.4966 [1 per cell]
19 Al 0.4658 0.5066 0.3544 [1 per cell]
20 Al 0.5196 0.7269 0.4968 [1 per cell]
21 Al 0.5242 0.0157 0.5289 [1 per cell]
22 Al 0.5539 0.9847 0.2186 [1 per cell]
23 Al 0.5594 0.7234 0.1857 [1 per cell]
24 Al 0.5663 0.1657 0.0458 [1 per cell]
25 Al 0.5788 0.9344 0.8175 [1 per cell]
26 Al 0.6680 0.4724 0.1074 [1 per cell]
27 Al 0.6883 0.3162 0.6481 [1 per cell]
28 Al 0.7391 0.1533 0.4306 [1 per cell]
29 Al 0.7539 0.4961 0.8481 [1 per cell]
30 Al 0.7709 0.8942 0.5914 [1 per cell]
31 Al 0.7731 0.0974 0.8627 [1 per cell]
32 Al 0.7731 0.7609 0.9792 [1 per cell]
33 Al 0.7829 0.5883 0.5542 [1 per cell]
34 Al 0.8392 0.1982 0.1602 [1 per cell]
35 Al 0.8390 0.9091 0.2290 [1 per cell]
36 Al 0.8750 0.4137 0.3923 [1 per cell]
37 Al 0.9288 0.4725 0.0940 [1 per cell]
38 Al 0.9512 0.2800 0.8312 [1 per cell]
39 Al 0.9847 0.9520 0.4542 [1 per cell]
40 Al 0.9941 0.6869 0.2208 [1 per cell]
41 O 0.0252 0.6317 0.0543 [1 per cell]
42 O 0.0408 0.3479 0.4262 [1 per cell]
43 O 0.0408 0.3557 0.7019 [1 per cell]
44 O 0.0450 0.3398 0.1406 [1 per cell]
45 O 0.0485 0.1016 0.5563 [1 per cell]
46 O 0.0687 0.9456 0.8623 [1 per cell]
47 O 0.0990 0.7018 0.7552 [1 per cell]
48 O 0.1232 0.2662 0.8899 [1 per cell]
49 O 0.1360 0.0789 0.0892 [1 per cell]
50 O 0.1535 0.9682 0.3861 [1 per cell]
51 O 0.1606 0.5312 0.9133 [1 per cell]
52 O 0.1759 0.7074 0.2146 [1 per cell]
53 O 0.2032 0.7326 0.4890 [1 per cell]
54 O 0.2030 0.9371 0.6740 [1 per cell]
55 O 0.2230 0.2288 0.2767 [1 per cell]
56 O 0.2352 0.5085 0.6482 [1 per cell]
57 O 0.2430 0.7943 0.9722 [1 per cell]
58 O 0.2761 0.4984 0.3284 [1 per cell]
59 O 0.3070 0.3461 0.0753 [1 per cell]
60 O 0.3687 0.0919 0.5216 [1 per cell]
61 O 0.3718 0.4253 0.8240 [1 per cell]
62 O 0.3814 0.6082 0.0413 [1 per cell]
63 O 0.4290 0.8470 0.8334 [1 per cell]
64 O 0.4305 0.8617 0.5278 [1 per cell]
65 O 0.4404 0.1075 0.1529 [1 per cell]
66 O 0.4474 0.8540 0.1481 [1 per cell]
67 O 0.4490 0.6965 0.3411 [1 per cell]
68 O 0.4615 0.3287 0.3528 [1 per cell]
69 O 0.4696 0.5637 0.5301 [1 per cell]
70 O 0.4911 0.3406 0.6293 [1 per cell]
'''
Mace crossed his arms slowly. She thought he was going to object to her strategy but instead, he only nodded and began walking away. "I guess we're under knew orders now. You've got command Senator Ami- I mean Senator Skywalker..."
[Unrelated to this page: materials data]
'''
1.
Below is a relaxed structure of FeNiSb6, with properties calculated at the r2SCAN level.

Properties
Total magnetic moment: 0.0 μB per formula unit
Space group: No. 12
Total DFT energy (no corrections): -22.6532 eV per atom
E_form: -74 meV/atom

a = 7.865 Å, b = 7.865 Å, c = 9.092 Å
α = 54.89°, β = 54.89°, γ = 70.68°
Fractional positions:
1 Sb 0.163 0.845 0.331
2 Sb 0.672 0.672 0.167
3 Ni 0.500 0.000 0.500
4 Sb 0.177 0.507 0.155
5 Sb 0.837 0.155 0.669
6 Sb 0.340 0.340 0.503
7 Sb 0.660 0.660 0.497
8 Ni 0.000 0.500 0.500
9 Sb 0.493 0.823 0.845
10 Sb 0.155 0.837 0.669
11 Fe 0.500 0.000 0.000
12 Fe 0.000 0.500 0.000
13 Sb 0.507 0.177 0.155
14 Sb 0.823 0.493 0.845
15 Sb 0.328 0.328 0.833
16 Sb 0.845 0.163 0.331

***

2.
Below is a relaxed structure of Nd2Ga3Cu, with properties calculated at the r2SCAN level.

Properties
Total magnetic moment: 0.0 μB per formula unit
Space group: No. 156
Total DFT energy (no corrections): -17.9817 eV per atom
E_form: -647 meV/atom

a = 4.398 Å, b = 4.398 Å, c = 7.695 Å
α = 90.00°, β = 90.00°, γ = 120.00°
Fractional positions:
1 Ga 0.000 0.000 0.961
2 Ga 0.667 0.333 0.038
3 Cu 0.000 0.000 0.523
4 Ga 0.667 0.333 0.483
5 Nd 0.333 0.667 0.732
6 Nd 0.333 0.667 0.263

~~~~~

P | Here is Mn6O7F5 after structural relaxation from the Materials Project database. Energies are from GGA+U.

## Properties
Calculated volume ... 200.9 Å³/cell
Magnetic moment ... 23.000 Bohr magnetons per cell

a = 4.621 Å, b = 5.633 Å, c = 7.737 Å
α = 86.20°, β = 89.50°, γ = 88.62°
Space group P1 (No. 1)
Unique sites:
Mn  0.000  0.000  0.000 x1
Mn  0.005  0.647  0.293 x1
Mn  0.470  0.472  0.962 x1
Mn  0.487  0.154  0.315 x1
Mn  0.501  0.826  0.648 x1
Mn  0.986  0.319  0.641 x1
O  0.177  0.361  0.408 x1
O  0.203  0.701  0.073 x1
O  0.291  0.186  0.088 x1
O  0.311  0.533  0.735 x1
O  0.678  0.113  0.546 x1
O  0.804  0.282  0.879 x1
O  0.805  0.946  0.210 x1
F  0.197  0.016  0.768 x1
F  0.284  0.853  0.424 x1
F  0.678  0.456  0.192 x1
F  0.715  0.793  0.878 x1
F  0.789  0.631  0.520 x1

***

Q | Here is Mn6O7F5 after structural relaxation from the Materials Project database. Energies are from GGA+U.

## Properties
Calculated volume ... 204.4 Å³/cell
Magnetic moment ... 23.002 Bohr magnetons per cell

a = 4.763 Å, b = 5.643 Å, c = 7.710 Å
α = 84.55°, β = 85.30°, γ = 83.40°
Space group P1 (No. 1)
Unique sites:
Mn  0.000  0.000  0.000 x1
Mn  0.006  0.342  0.666 x1
Mn  0.496  0.173  0.329 x1
Mn  0.502  0.841  0.663 x1
Mn  0.538  0.529  0.008 x1
Mn  0.987  0.672  0.319 x1
O  0.308  0.141  0.565 x1
O  0.310  0.800  0.897 x1
O  0.314  0.479  0.227 x1
O  0.697  0.540  0.766 x1
O  0.697  0.880  0.431 x1
O  0.703  0.215  0.100 x1
O  0.814  0.720  0.099 x1
F  0.180  0.636  0.549 x1
F  0.189  0.290  0.900 x1
F  0.198  0.975  0.229 x1
F  0.809  0.374  0.437 x1
F  0.816  0.048  0.764 x1

***

R | Here is Mn6O7F5 after structural relaxation from the Materials Project database. Energies are from GGA+U.

## Properties
Calculated volume ... 202.9 Å³/cell
'''
[End of the materials data]
Hey guys! Sorry I didn't post yesterday, I've had the worst cold in like ever and it's just been stretching itself out as long as possible. :( Anyways, short chapter but next week should have some action in it! I'm so excited for it! Have a great week!

What Could Have Been Part 2: Anakin's Trials
FanfictionEleven years after the birth of Luke and Leia Skywalker, their father ,Anakin, is faced with his greatest challenge yet; training his children. When the Skywalker family is assigned a mission to defeat the Sith once and for all, they will experience...